**Wanted:**
Could you retype the whole of the material further below with every line break kept?

**Material:**
<<<
This record from the Materials Project database describes a relaxed structure of V2Se2O13. The functional is PBE+U.

a = 12.4166 Å, b = 12.4166 Å, c = 18.6512 Å
α = 92.63°, β = 92.63°, γ = 68.65°
With the nearest neighbours (Å) after each atom.
Sites, in units of the cell vectors:
V 0.1348 0.6678 0.9046  1 O 1.61
V 0.1459 0.1642 0.4058  2 O 1.63-1.74
V 0.1610 0.6379 0.4046  1 O 1.61
V 0.1642 0.1459 0.9058  2 O 1.63-1.74
V 0.3322 0.8652 0.5954  1 O 1.61
V 0.3354 0.3583 0.0935  2 O 1.64-1.68
V 0.3583 0.3354 0.5935  2 O 1.64-1.68
V 0.3621 0.8390 0.0954  1 O 1.61
V 0.6379 0.1610 0.9046  1 O 1.61
V 0.6417 0.6646 0.4065  2 O 1.64-1.68
V 0.6646 0.6417 0.9065  2 O 1.64-1.68
V 0.6678 0.1348 0.4046  1 O 1.61
V 0.8358 0.8541 0.0942  2 O 1.63-1.74
V 0.8390 0.3621 0.5954  1 O 1.61
V 0.8541 0.8358 0.5942  2 O 1.63-1.74
V 0.8652 0.3322 0.0954  1 O 1.61
Se 0.0741 0.0866 0.5569  3 O 1.64-1.80
Se 0.0763 0.5785 0.5639  2 O 1.63-1.78
Se 0.0768 0.5765 0.0586  3 O 1.68-1.84
Se 0.0866 0.0741 0.0569  3 O 1.64-1.80
Se 0.4183 0.4234 0.9385  3 O 1.64-1.80
Se 0.4215 0.9237 0.9361  2 O 1.63-1.78
Se 0.4234 0.4183 0.4385  3 O 1.64-1.80
Se 0.4235 0.9232 0.4414  3 O 1.68-1.84
Se 0.5765 0.0768 0.5586  3 O 1.68-1.84
Se 0.5766 0.5817 0.5615  3 O 1.64-1.80
Se 0.5785 0.0763 0.0639  2 O 1.63-1.78
Se 0.5817 0.5766 0.0615  3 O 1.64-1.80
Se 0.9134 0.9259 0.9431  3 O 1.64-1.80
Se 0.9232 0.4235 0.9414  3 O 1.68-1.84
Se 0.9237 0.4215 0.4361  2 O 1.63-1.78
Se 0.9259 0.9134 0.4431  3 O 1.64-1.80
O 0.0491 0.8206 0.9146  1 Se 1.80, 1 V 1.81
O 0.0572 0.6054 0.8613  1 V 1.61
O 0.0584 0.1849 0.6214  1 Se 1.64
O 0.0637 0.3215 0.4138  1 Se 1.78, 1 V 1.85
O 0.0715 0.6692 0.1281  1 Se 1.68
O 0.0744 0.0928 0.3631  1 V 1.63
O 0.0928 0.0744 0.8631  1 V 1.63
O 0.1003 0.5582 0.3616  1 V 1.61
O 0.1123 0.6681 0.4963  1 V 1.82, 1 Se 1.89
O 0.1177 0.1705 0.9995  1 Se 1.79, 1 V 1.84
O 0.1240 0.2877 0.8783  1 V 1.74
O 0.1621 0.5844 0.6316  1 Se 1.63
O 0.1686 0.6141 0.9969  1 Se 1.84, 1 V 1.85
O 0.1705 0.1177 0.4995  1 Se 1.79, 1 V 1.84
O 0.1717 0.7551 0.3486  1 O 1.42
O 0.1750 0.4444 0.0865  1 Se 1.74, 1 V 1.89
O 0.1756 0.2067 0.2557  1 O 1.29
O 0.1777 0.7190 0.2749  2 O 1.42-1.44
O 0.1794 0.9509 0.5854  1 Se 1.80, 1 V 1.81
O 0.1849 0.0584 0.1214  1 Se 1.64
O 0.1957 0.3018 0.2549  2 O 1.28-1.29
O 0.2067 0.1756 0.7557  1 O 1.29
O 0.2159 0.7841 0.7500  2 O 1.43
O 0.2240 0.6737 0.7744  2 O 1.43-1.44
O 0.2255 0.3574 0.6222  1 V 1.68
O 0.2449 0.8283 0.1514  1 O 1.42
O 0.2531 0.6724 0.8503  1 O 1.44
O 0.2810 0.8223 0.2251  2 O 1.42-1.44
O 0.2877 0.1240 0.3783  1 V 1.74
O 0.2882 0.7118 0.2500  2 O 1.44
O 0.2952 0.3008 0.7504  1 O 1.28
O 0.3008 0.2952 0.2504  1 O 1.28
O 0.3018 0.1957 0.7549  2 O 1.28-1.29
O 0.3148 0.5540 0.4127  1 Se 1.80, 1 V 1.81
O 0.3192 0.4323 0.8757  1 Se 1.64
O 0.3215 0.0637 0.9138  1 Se 1.78, 1 V 1.85
O 0.3263 0.7760 0.7256  2 O 1.43-1.44
O 0.3276 0.7469 0.6497  1 O 1.44
O 0.3308 0.9285 0.3719  1 Se 1.68
O 0.3319 0.8877 0.0037  1 V 1.82, 1 Se 1.89
O 0.3336 0.3878 0.5013  1 Se 1.80, 1 V 1.84
O 0.3574 0.2255 0.1222  1 V 1.68
O 0.3859 0.8314 0.5031  1 Se 1.84, 1 V 1.85
O 0.3878 0.3336 0.0013  1 Se 1.80, 1 V 1.84
O 0.3946 0.9428 0.6387  1 V 1.61
O 0.4059 0.4244 0.1436  1 V 1.64
O 0.4156 0.8379 0.8684  1 Se 1.63
O 0.4244 0.4059 0.6436  1 V 1.64
O 0.4323 0.3192 0.3757  1 Se 1.64
O 0.4418 0.8997 0.1384  1 V 1.61
O 0.4444 0.1750 0.5865  1 Se 1.74, 1 V 1.89
O 0.4460 0.6852 0.0873  1 Se 1.80, 1 V 1.81
O 0.5540 0.3148 0.9127  1 Se 1.80, 1 V 1.81
O 0.5556 0.8250 0.4135  1 Se 1.74, 1 V 1.89
O 0.5582 0.1003 0.8616  1 V 1.61
O 0.5677 0.6808 0.6243  1 Se 1.64
O 0.5756 0.5941 0.3564  1 V 1.64
O 0.5844 0.1621 0.1316  1 Se 1.63
O 0.5941 0.5756 0.8564  1 V 1.64
O 0.6054 0.0572 0.3613  1 V 1.61
O 0.6122 0.6664 0.9987  1 Se 1.80, 1 V 1.84
O 0.6141 0.1686 0.4969  1 Se 1.84, 1 V 1.85
O 0.6426 0.7745 0.8778  1 V 1.68
O 0.6664 0.6122 0.4987  1 Se 1.80, 1 V 1.84
O 0.6681 0.1123 0.9963  1 V 1.82, 1 Se 1.89
O 0.6692 0.0715 0.6281  1 Se 1.68
O 0.6724 0.2531 0.3503  1 O 1.44
>>>

**Response:**
This record from the Materials Project database describes a relaxed structure of V2Se2O13. The functional is PBE+U.

a = 12.4166 Å, b = 12.4166 Å, c = 18.6512 Å
α = 92.63°, β = 92.63°, γ = 68.65°
With the nearest neighbours (Å) after each atom.
Sites, in units of the cell vectors:
V 0.1348 0.6678 0.9046  1 O 1.61
V 0.1459 0.1642 0.4058  2 O 1.63-1.74
V 0.1610 0.6379 0.4046  1 O 1.61
V 0.1642 0.1459 0.9058  2 O 1.63-1.74
V 0.3322 0.8652 0.5954  1 O 1.61
V 0.3354 0.3583 0.0935  2 O 1.64-1.68
V 0.3583 0.3354 0.5935  2 O 1.64-1.68
V 0.3621 0.8390 0.0954  1 O 1.61
V 0.6379 0.1610 0.9046  1 O 1.61
V 0.6417 0.6646 0.4065  2 O 1.64-1.68
V 0.6646 0.6417 0.9065  2 O 1.64-1.68
V 0.6678 0.1348 0.4046  1 O 1.61
V 0.8358 0.8541 0.0942  2 O 1.63-1.74
V 0.8390 0.3621 0.5954  1 O 1.61
V 0.8541 0.8358 0.5942  2 O 1.63-1.74
V 0.8652 0.3322 0.0954  1 O 1.61
Se 0.0741 0.0866 0.5569  3 O 1.64-1.80
Se 0.0763 0.5785 0.5639  2 O 1.63-1.78
Se 0.0768 0.5765 0.0586  3 O 1.68-1.84
Se 0.0866 0.0741 0.0569  3 O 1.64-1.80
Se 0.4183 0.4234 0.9385  3 O 1.64-1.80
Se 0.4215 0.9237 0.9361  2 O 1.63-1.78
Se 0.4234 0.4183 0.4385  3 O 1.64-1.80
Se 0.4235 0.9232 0.4414  3 O 1.68-1.84
Se 0.5765 0.0768 0.5586  3 O 1.68-1.84
Se 0.5766 0.5817 0.5615  3 O 1.64-1.80
Se 0.5785 0.0763 0.0639  2 O 1.63-1.78
Se 0.5817 0.5766 0.0615  3 O 1.64-1.80
Se 0.9134 0.9259 0.9431  3 O 1.64-1.80
Se 0.9232 0.4235 0.9414  3 O 1.68-1.84
Se 0.9237 0.4215 0.4361  2 O 1.63-1.78
Se 0.9259 0.9134 0.4431  3 O 1.64-1.80
O 0.0491 0.8206 0.9146  1 Se 1.80, 1 V 1.81
O 0.0572 0.6054 0.8613  1 V 1.61
O 0.0584 0.1849 0.6214  1 Se 1.64
O 0.0637 0.3215 0.4138  1 Se 1.78, 1 V 1.85
O 0.0715 0.6692 0.1281  1 Se 1.68
O 0.0744 0.0928 0.3631  1 V 1.63
O 0.0928 0.0744 0.8631  1 V 1.63
O 0.1003 0.5582 0.3616  1 V 1.61
O 0.1123 0.6681 0.4963  1 V 1.82, 1 Se 1.89
O 0.1177 0.1705 0.9995  1 Se 1.79, 1 V 1.84
O 0.1240 0.2877 0.8783  1 V 1.74
O 0.1621 0.5844 0.6316  1 Se 1.63
O 0.1686 0.6141 0.9969  1 Se 1.84, 1 V 1.85
O 0.1705 0.1177 0.4995  1 Se 1.79, 1 V 1.84
O 0.1717 0.7551 0.3486  1 O 1.42
O 0.1750 0.4444 0.0865  1 Se 1.74, 1 V 1.89
O 0.1756 0.2067 0.2557  1 O 1.29
O 0.1777 0.7190 0.2749  2 O 1.42-1.44
O 0.1794 0.9509 0.5854  1 Se 1.80, 1 V 1.81
O 0.1849 0.0584 0.1214  1 Se 1.64
O 0.1957 0.3018 0.2549  2 O 1.28-1.29
O 0.2067 0.1756 0.7557  1 O 1.29
O 0.2159 0.7841 0.7500  2 O 1.43
O 0.2240 0.6737 0.7744  2 O 1.43-1.44
O 0.2255 0.3574 0.6222  1 V 1.68
O 0.2449 0.8283 0.1514  1 O 1.42
O 0.2531 0.6724 0.8503  1 O 1.44
O 0.2810 0.8223 0.2251  2 O 1.42-1.44
O 0.2877 0.1240 0.3783  1 V 1.74
O 0.2882 0.7118 0.2500  2 O 1.44
O 0.2952 0.3008 0.7504  1 O 1.28
O 0.3008 0.2952 0.2504  1 O 1.28
O 0.3018 0.1957 0.7549  2 O 1.28-1.29
O 0.3148 0.5540 0.4127  1 Se 1.80, 1 V 1.81
O 0.3192 0.4323 0.8757  1 Se 1.64
O 0.3215 0.0637 0.9138  1 Se 1.78, 1 V 1.85
O 0.3263 0.7760 0.7256  2 O 1.43-1.44
O 0.3276 0.7469 0.6497  1 O 1.44
O 0.3308 0.9285 0.3719  1 Se 1.68
O 0.3319 0.8877 0.0037  1 V 1.82, 1 Se 1.89
O 0.3336 0.3878 0.5013  1 Se 1.80, 1 V 1.84
O 0.3574 0.2255 0.1222  1 V 1.68
O 0.3859 0.8314 0.5031  1 Se 1.84, 1 V 1.85
O 0.3878 0.3336 0.0013  1 Se 1.80, 1 V 1.84
O 0.3946 0.9428 0.6387  1 V 1.61
O 0.4059 0.4244 0.1436  1 V 1.64
O 0.4156 0.8379 0.8684  1 Se 1.63
O 0.4244 0.4059 0.6436  1 V 1.64
O 0.4323 0.3192 0.3757  1 Se 1.64
O 0.4418 0.8997 0.1384  1 V 1.61
O 0.4444 0.1750 0.5865  1 Se 1.74, 1 V 1.89
O 0.4460 0.6852 0.0873  1 Se 1.80, 1 V 1.81
O 0.5540 0.3148 0.9127  1 Se 1.80, 1 V 1.81
O 0.5556 0.8250 0.4135  1 Se 1.74, 1 V 1.89
O 0.5582 0.1003 0.8616  1 V 1.61
O 0.5677 0.6808 0.6243  1 Se 1.64
O 0.5756 0.5941 0.3564  1 V 1.64
O 0.5844 0.1621 0.1316  1 Se 1.63
O 0.5941 0.5756 0.8564  1 V 1.64
O 0.6054 0.0572 0.3613  1 V 1.61
O 0.6122 0.6664 0.9987  1 Se 1.80, 1 V 1.84
O 0.6141 0.1686 0.4969  1 Se 1.84, 1 V 1.85
O 0.6426 0.7745 0.8778  1 V 1.68
O 0.6664 0.6122 0.4987  1 Se 1.80, 1 V 1.84
O 0.6681 0.1123 0.9963  1 V 1.82, 1 Se 1.89
O 0.6692 0.0715 0.6281  1 Se 1.68
O 0.6724 0.2531 0.3503  1 O 1.44